The math circle of the University of Paderborn serves to promote young mathematical talent and will meet in spring/summer 2024 on Saturdays April 20, 2024, May 4, 2024 and June 8, 2024, each from 10:00 a.m. to 1:00 p.m., online with the video conferencing software Zoom.
"From my own experience and through exchanges with other academics, I know that there is still a lot to be done for equal opportunities and justice, and I would like to help," says Dr. Charlene Weiß.
In the 32nd episode of the "All Day Research" podcast, we welcome Dietrich Gerstenberger who talks to our host Marvin Beckmann about the study centre for computer science (LZI) and the science that goes with it.
For around three years, Paderborn University has been one of Germany's national high-performance computing centers - and thus at the forefront of university high-performance computing (HPC). The Paderborn supercomputer "Noctua 2" and the academic support of the experts are used by scientists throughout Germany for highly complex calculations. 140,000 compactly installed processor cores in the supercomputer make this possible.
The stuff of science fiction films: For decades, so-called "programmable matter" has inspired filmmakers and cinema enthusiasts worldwide. It is able to change its shape and properties, such as color, form and elasticity, either independently or based on external influences.
== Attached: materials data ==
- - -
## a
DFT (GGA-PBE) results for a relaxed LiSnP2O7 crystal.

Output
calculated volume	308.4	Å³ per cell
magnetic moment	0.00	μB/cell

The structure in CIF format:
```
data_LiSnP2O7
_chemical_formula_sum 'Li2 Sn2 P4 O14'
_cell_length_a 5.069
_cell_length_b 8.951
_cell_length_c 7.195
_cell_angle_alpha 90.00
_cell_angle_beta 109.13
_cell_angle_gamma 90.00
_symmetry_space_group_name_H-M 'P 1 21 1'
_symmetry_Int_Tables_number 4
loop_
_symmetry_equiv_pos_as_xyz
'x,y,z'
'-x,y+1/2,-z'
loop_
_atom_site_label
_atom_site_fract_x
_atom_site_fract_y
_atom_site_fract_z
Li1 0.202 0.000 0.162
Sn1 0.214 0.353 0.234
P1 0.211 0.062 0.577
P2 0.396 0.669 0.036
O1 0.050 0.536 0.367
O2 0.147 0.140 0.376
O3 0.217 0.526 0.007
O4 0.222 0.814 0.007
O5 0.375 0.917 0.573
O6 0.412 0.163 0.091
O7 0.412 0.178 0.734
```

***

## b
DFT (GGA-PBE) results for a relaxed LiSnP2O7 crystal.

Output
calculated volume	606.6	Å³ per cell
magnetic moment	0.00	μB/cell

The structure in CIF format:
```
data_LiSnP2O7
_chemical_formula_sum 'Li4 Sn4 P8 O28'
_cell_length_a 5.269
_cell_length_b 8.487
_cell_length_c 14.043
_cell_angle_alpha 75.22
_cell_angle_beta 87.54
_cell_angle_gamma 88.50
_symmetry_space_group_name_H-M 'P -1'
_symmetry_Int_Tables_number 2
loop_
_symmetry_equiv_pos_as_xyz
'x,y,z'
'-x,-y,-z'
loop_
_atom_site_label
_atom_site_fract_x
_atom_site_fract_y
_atom_site_fract_z
Li1 0.198 0.155 0.336
Li2 0.251 0.217 0.831
Sn1 0.225 0.592 0.645
Sn2 0.245 0.110 0.120
P1 0.257 0.776 0.044
P2 0.274 0.287 0.514
P3 0.288 0.490 0.210
P4 0.288 0.994 0.686
O1 0.018 0.540 0.244
O2 0.030 0.200 0.948
O3 0.109 0.308 0.423
O4 0.128 0.068 0.755
O5 0.181 0.823 0.682
O6 0.196 0.399 0.579
O7 0.230 0.102 0.572
O8 0.318 0.311 0.220
O9 0.323 0.581 0.097
O10 0.359 0.802 0.938
O11 0.407 0.864 0.106
O12 0.428 0.003 0.304
O13 0.445 0.701 0.523
O14 0.499 0.451 0.732
```

***

Which of them is the least stable? Correct choice: a.

***

## a
DFT (GGA-PBE) results for a relaxed LiSnP2O7 crystal.

Output
calculated volume	600.6	Å³ per cell
magnetic moment	2.87	μB/cell

The structure in CIF format:
```
data_LiSnP2O7
_chemical_formula_sum 'Li4 Sn4 P8 O28'
_cell_length_a 8.929
_cell_length_b 5.185
_cell_length_c 14.440
_cell_angle_alpha 90.00
_cell_angle_beta 116.06
_cell_angle_gamma 90.00
_symmetry_space_group_name_H-M 'P 1 c 1'
_symmetry_Int_Tables_number 7
loop_
_symmetry_equiv_pos_as_xyz
'x,y,z'
'x,-y,z+1/2'
loop_
_atom_site_label
_atom_site_fract_x
_atom_site_fract_y
_atom_site_fract_z
Li1 0.000 0.004 0.000
Li2 0.418 0.468 0.378
Sn1 0.151 0.003 0.268
Sn2 0.697 0.489 0.817
P1 0.119 0.489 0.423
P2 0.234 0.488 0.646
P3 0.612 0.022 0.947
P4 0.732 0.010 0.177
O1 0.087 0.200 0.407
O2 0.109 0.310 0.147
O3 0.165 0.211 0.637
O4 0.206 0.396 0.862
O5 0.255 0.460 0.042
O6 0.408 0.483 0.236
O7 0.446 0.099 0.375
O8 0.606 0.003 0.557
O9 0.620 0.318 0.930
O10 0.645 0.145 0.731
O11 0.748 0.299 0.207
O12 0.762 0.120 0.446
O13 0.895 0.110 0.690
O14 0.959 0.357 0.908
```

***

## b
DFT (GGA-PBE) results for a relaxed LiSnP2O7 crystal.
- - -
Prof. Dr. Sevag Gharibian, head of the Quantum Informatics group, has published a guest article in the ACM SIGACT News. Gharibian addresses a broad audience of theoretical computer scientists and uses NP (non-deterministic polynomial time) as a cornerstone of complexity theory.
The alumni association "Die Matiker e.V." at the University of Paderborn organizes the following two lectures as part of the lecture series „Job Profiles in Mathematics and Computer Science" on Thursday, January 18th 2024 at 6:15 p.m. in lecture hall D2 (both lectures will take place one after the other on that date, a total of approx. 90 minutes).
Have you ever thought about doing a doctorate?
In 2024 we will offer the one-to-one mentoring program perspEktIve M again. perspEktIve M is aimed at female students related to the Faculty of Computer Science, Electrical Engineering and Mathematics who are at least in their 4th bachelor's semester or already in their master's degree. The aim of the program is to inform female students about careers in science.
In the 31st episode of the "All Day Research" podcast, we once again welcome Prof. Dr. Eric Bodden. Together with our host Marvin Beckmann, he reviews the past year 2023, provides initial insights into the coming year and answers questions from students and employees of the Faculty.
Am 7.12.2023 fand ein Doppel-Vortrag der Reihe "Berufsbilder der Mathematik und Informatik" des Ehemaligenvereins Die Matiker e.V. an der Universität Paderborn statt.
~~~
Record 1
This record from Materials Project describes a relaxed Mg5Sc crystal. The functional is r2SCAN.

a b c (Å): 5.5720 5.5720 5.1059
angles (deg): 90.00 90.00 120.00
Element x y z (fractional)
Mg: 0.0000 0.6575 0.0000
Mg: 0.3333 0.6667 0.5000
Mg: 0.3425 0.3425 0.0000
Mg: 0.6575 0.0000 0.0000
Mg: 0.6667 0.3333 0.5000
Sc: 0.0000 0.0000 0.5000

Computed properties:
energy of formation = 0.029 eV/atom

***

Record 2
This record from Materials Project describes a relaxed MgSc5 crystal. The functional is r2SCAN.

a b c (Å): 5.3144 8.6309 8.6309
angles (deg): 21.92 90.00 90.00
Element x y z (fractional)
Mg: 0.0000 0.0000 0.0000
Sc: 0.0000 0.3348 0.3348
Sc: 0.0000 0.6689 0.6689
Sc: 0.5000 0.2244 0.2244
Sc: 0.5000 0.5550 0.5550
Sc: 0.5000 0.8891 0.8891

Computed properties:
energy of formation = 0.025 eV/atom

***

Record 3
This record from Materials Project describes a relaxed MgSc3 crystal. The functional is r2SCAN.

a b c (Å): 3.2807 3.2807 10.6451
angles (deg): 90.00 90.00 120.00
Element x y z (fractional)
Mg: 0.0000 0.0000 0.0000
Sc: 0.0000 0.0000 0.5000
Sc: 0.3333 0.6667 0.2537
Sc: 0.3333 0.6667 0.7463

Computed properties:
energy of formation = 0.049 eV/atom

***

Record 4
This record from Materials Project describes a relaxed Mg2Sc crystal. The functional is r2SCAN.

a b c (Å): 6.1286 6.1286 7.6601
angles (deg): 104.17 104.17 30.21
Element x y z (fractional)
Mg: 0.0280 0.0280 0.3060
Mg: 0.3057 0.3057 0.3594
Mg: 0.6943 0.6943 0.6406
Mg: 0.9720 0.9720 0.6940
Sc: 0.3617 0.3617 0.9726
Sc: 0.6383 0.6383 0.0274

Computed properties:
energy of formation = -0.008 eV/atom

***

Record 5
This record from Materials Project describes a relaxed MgSc2Se4 crystal. The functional is r2SCAN.

a b c (Å): 7.9071 7.9071 7.9071
angles (deg): 60.00 60.00 60.00
Element x y z (fractional)
Mg: 0.1250 0.1250 0.1250
Mg: 0.8750 0.8750 0.8750
Sc: 0.0000 0.5000 0.5000
Sc: 0.5000 0.0000 0.5000
Sc: 0.5000 0.5000 0.0000
Sc: 0.5000 0.5000 0.5000
Se: 0.2573 0.2573 0.2573
Se: 0.2573 0.2573 0.7280
Se: 0.2573 0.7280 0.2573
Se: 0.2720 0.7427 0.7427
Se: 0.7280 0.2573 0.2573
Se: 0.7427 0.2720 0.7427
Se: 0.7427 0.7427 0.2720
Se: 0.7427 0.7427 0.7427

Computed properties:
energy of formation = -1.829 eV/atom

***

Record 6
This record from Materials Project describes a relaxed MgSc2Se4 crystal. The functional is r2SCAN.

a b c (Å): 7.5981 7.5981 7.5981
angles (deg): 105.63 105.63 117.47
Element x y z (fractional)
Mg: 0.0000 0.0000 0.0000
Mg: 0.7500 0.2500 0.5000
Sc: 0.1412 0.6250 0.0162
Sc: 0.3750 0.3912 0.5162
Sc: 0.6088 0.1250 0.9838
Sc: 0.8750 0.8588 0.4838
Se: 0.0625 0.3743 0.2132
Se: 0.1243 0.3125 0.7132
Se: 0.1507 0.9375 0.3118
Se: 0.1611 0.8493 0.7868
Se: 0.5889 0.8757 0.1882
Se: 0.5993 0.4111 0.2868
Se: 0.6257 0.8389 0.6882
Se: 0.6875 0.4007 0.8118

Computed properties:
energy of formation = -1.754 eV/atom

***

Record 7
This record from Materials Project describes a relaxed TmMg2Sc crystal. The functional is r2SCAN.

a b c (Å): 5.1916 5.1916 5.1916
~~~
On December 5, 2023, the Faculty of Computer Science, Electrical Engineering and Mathematics bid farewell to its former Dean, Prof. Dr. Gregor Engels, on his retirement with a festive colloquium.
Quantum research is producing incredible technologies and overcoming boundaries that were previously considered insurmountable. The potential of the quantum computer - the crown jewel of these research activities - is immense. But what are the advantages of quantum computers compared to those of current high-performance computers? Where are the limits and how can the two be profitably combined? In a new video, Prof. Dr. Sevag Gharibian, an expert…
To all students of computer science and mathematics at the University of Paderborn:
The alumni association "Die Matiker e.V." at the University of Paderborn organizes the following two lectures as part of the lecture series „Job Profiles in Mathematics and Computer Science"
- - -
No. 1
A plane-wave DFT calculation with PBE-GGA was carried out for an optimized crystal structure of Sr2MgTi6N2O11.

Cell: 3.9595 7.8422 9.1751 Å, 93.31 90.30 103.35°
Space group P1 (No. 1)
Inequivalent atoms, fractional coordinates:
Sr (0.0000, 0.0000, 0.0000)
Sr (0.1371, 0.2827, 0.6227)
Mg (0.2042, 0.3338, 0.1975)
Ti (0.3563, 0.6822, 0.0539)
Ti (0.4506, 0.8780, 0.3882)
Ti (0.4832, 0.9449, 0.7303)
Ti (0.7334, 0.4212, 0.9454)
Ti (0.8145, 0.5799, 0.2820)
Ti (0.8561, 0.6725, 0.6082)
N (0.4233, 0.8220, 0.8957)
N (0.8411, 0.6482, 0.0758)
O (0.2292, 0.4081, 0.9834)
O (0.3139, 0.5795, 0.2807)
O (0.3828, 0.7277, 0.5830)
O (0.4628, 0.9172, 0.1911)
O (0.5413, 0.0775, 0.5024)
O (0.6087, 0.1780, 0.8317)
O (0.6959, 0.3171, 0.1757)
O (0.7683, 0.4715, 0.4776)
O (0.7885, 0.5225, 0.7629)
O (0.9198, 0.8116, 0.4002)
O (0.9824, 0.9412, 0.7021)

Properties
density: 4.1 g/cm³
ΔH_f (0 K): -2940 meV/atom
E_tot: -8.208 eV per atom
energy above the most stable polymorph in this dataset: 0.098 eV/atom

---

No. 2
A plane-wave DFT calculation with PBE-GGA was carried out for an optimized crystal structure of Sr2MgTi6N2O11.

Cell: 15.5396 3.8024 10.6997 Å, 90.00 107.54 90.00°
Space group Cm (No. 8)
Inequivalent atoms, fractional coordinates:
Sr (0.0000, 0.0000, 0.0000)
Sr (0.0703, 0.0000, 0.5876)
Mg (0.4692, 0.0000, 0.2503)
Ti (0.1511, 0.5000, 0.9009)
Ti (0.1560, 0.5000, 0.3170)
Ti (0.2619, 0.5000, 0.6571)
Ti (0.2860, 0.0000, 0.1055)
Ti (0.3155, 0.0000, 0.4515)
Ti (0.4009, 0.0000, 0.7227)
N (0.1700, 0.5000, 0.7394)
N (0.2621, 0.0000, 0.6005)
O (0.0255, 0.5000, 0.8595)
O (0.0647, 0.5000, 0.1617)
O (0.0760, 0.5000, 0.4151)
O (0.1630, 0.0000, 0.9578)
O (0.1855, 0.0000, 0.3068)
O (0.2533, 0.5000, 0.0834)
O (0.2877, 0.5000, 0.4398)
O (0.3552, 0.0000, 0.2854)
O (0.3862, 0.0000, 0.0552)
O (0.3874, 0.5000, 0.7740)
O (0.4416, 0.0000, 0.5742)

Properties
density: 3.8 g/cm³
ΔH_f (0 K): -2991 meV/atom
E_tot: -8.259 eV per atom
energy above the most stable polymorph in this dataset: 0.047 eV/atom

---

No. 3
A plane-wave DFT calculation with PBE-GGA was carried out for an optimized crystal structure of Sr2MgTi6N2O11.

Cell: 3.9321 7.6375 9.6410 Å, 98.27 90.00 104.91°
Space group P1 (No. 1)
Inequivalent atoms, fractional coordinates:
Sr (0.0000, 0.0000, 0.0000)
Sr (0.0213, 0.0476, 0.3600)
Mg (0.5890, 0.1843, 0.6472)
Ti (0.3025, 0.6056, 0.1043)
Ti (0.3555, 0.7129, 0.4310)
Ti (0.4027, 0.8060, 0.7658)
Ti (0.6715, 0.3436, 0.9304)
Ti (0.7024, 0.4068, 0.2818)
Ti (0.7827, 0.5662, 0.6163)
N (0.3063, 0.6135, 0.6050)
N (0.7151, 0.4313, 0.7675)
O (0.1713, 0.3432, 0.9833)
O (0.2303, 0.4624, 0.2928)
O (0.3758, 0.7522, 0.9490)
O (0.4081, 0.8165, 0.2374)
O (0.4778, 0.9583, 0.5212)
O (0.5424, 0.0860, 0.8399)
O (0.5899, 0.1821, 0.1788)
O (0.6600, 0.3222, 0.4720)
O (0.7747, 0.5501, 0.0990)
O (0.8427, 0.6870, 0.4131)
O (0.9100, 0.8208, 0.7452)

Properties
density: 4.1 g/cm³
ΔH_f (0 K): -2985 meV/atom
E_tot: -8.253 eV per atom
energy above the most stable polymorph in this dataset: 0.053 eV/atom
- - -
on Thursday, December 7, 2023 at 6:15 p.m. in lecture hall D2 (both lectures will take place one after the other on that date, a total of approx. 90 minutes).
The talks…